sensitive topics dear friend across the river ✘ shaken


He had been avoiding the looming willow tree at the heart of the camp, not once looking at the swaying trails of spindly branches and curled leaves as he set about assisting in the cleanup.
But finally he could ignore it no longer, like a ghost it haunted him - clung to his back weighted like the body he carried into the marshlands several days prior. Smokethroat swears he still feels the pressure, the weight of it upon his spine; chilling and damp.

The moment he steps in he can tell the rogues had been in here, but among their scents the more overpowering one is still him. It lingers, the scent of storms: the aftermath of light rain, the salt of the river, the heat of the sun-kissed stones along the shore. It’s nauseating, he feels lightheaded, a flood of copper smell rises, his pelt feels too tight on him; too hot.
Smokethroat steps back, shakes his head, the den is too much right now. He can’t go in, he can’t face it. Grief and something else, something more horrifying, builds in his chest and tightens.

It was time to stop lying to himself, the tom he loved-the cat he had been so devoted to…he’d been gone for a while hadn’t he? Well before this, well before the kits came. He couldn’t pinpoint the exact moment when he lost him but it was quite some time, when had he noticed the changes? The argument in the river was but a small sample of the sudden shift in demeanor, temperament. He had gone from being so forcefully confident to flinching at every pawstep at one point. A man ruled by his paranoid delusions and no amount of his efforts would have saved him. Maybe that was he tried not to believe it, tried not to think about it. When the signs flashed before his eye he closed it and blocked it out, curled into the mottled and familiar pelt and waged the war inside his mind demanding he face it at last.
Smokethroat had no choice but to face it now, to realize that Cicadastar was gone. Had been gone. Lost to them. Every movement was as though he was pulled forward on pure will alone, every time he’d died he came back a little more on edge, a little more different. His final life brought an end to the cycle. As much as it hurt, he was free now wasn’t he…? The burden of it was the dark tom’s to carry now, the liberation stained his teeth red, but the wires were undone.
He didn’t cry when his mother died, too young to really grasp the finality of it. He had not wept for Moss, she would have scolded his show of weakness and called him pathetic for it. Inside his body were tears unshed for years, fossilized into slivers of ice and finally, finally the heat of his own heartbreak had melted them back down.

And he cries. Shoulders shaking, head bowed, partially crouched in the opening of the willow den he had slept in for so long with another right beside him - that he would now be left in alone. Part of him is aware of how ridiculous he must look, how much the clan must be worried for their future with their deputy and soon-to-be leader crumbling into pieces like this. He was supposed to be stalwart at all times, stone, unmoving and in control.

Who knew stone could crack so easily.


  • 57913530_r2t3y4lghl4FDra.png
    —⊰⋅ Deputy of RiverClan
    —⊰⋅ He/Him
    —⊰⋅ Black tom w/vitiligo & one orange eye.
    —⊰⋅ penned by Rai

( ) she wonders if there's even any of her heart left to break. her parents, her siblings, washed away by ocean storms, boarpaw and raccoonpaw, lost and forgotten somewhere far away. buckgait, trapped, stolen from her by evils beyond comprehension, clearsight, murdered by windclan, boneripple, lost, stalkingpaw, dead, steepsnout, dead... cicadastar, dead. and he really is dead, in the final sense of the word. nine lives seem to go by faster than one, and his had been no different, ripped from him like the wind rips leaves from their trees. cicadastar, the first cat to offer true protection, to put his trust in her to lead. she had never had that before. he had created this- her home, her community, a shell of safety powered by their faith in him. her friend, her comrade, someone she hasd been lucky enough to advise, to stand tall next to.

where had it all gone wrong? when had he changed? had it been his first death at the paws of the twoleg traps? or perhaps beesong's demise, which had so shaken the stalwart river king. he hadn't been himself for moons, or perhaps she never really knew him. she'll never know now. still she grieves.

the weather seems fitting, skeletal branches scraping a cold sky as riverclan readjusts to their camp. willowroot finds herself slightly hollow, eyes pale and lacking their spark. a shadow flits across the doorway of cicadastar's old den, and half of a heartbeat convinces the queen that the frosty tomcat will push his way out, just as he always had. instead, a shape hunches just inside of it, trembling gently. a sole ember eye gleams with a river's worth of sorrow and pain. willowroot's heart looses yet another piece.

soft paws carry the feline over to her friend, dark head bending slightly to press her nose into the shorter tom's fur. quietly, willowroot sits, wrapping her tail around both herself and smokethroat as she gently leans into his body. he is not one for open displays of emotion, and the tears that track down his cheeks erode his fur, leaving stains where sorrow has touched him. willowroot will not walk away from this man. he is her best friend, has been for moons. she presses into him now, sharing her warmth, sharing what little heart she has left to give. she will shoulder his pain tonight.

Grief. It was so familiar to her. It had always been. Once more she felt her paws become muddied by them. She hadn't had a strong and personal connection with Cicadastar, neither had she with Smokethroat. Although, it was still as traumatizing as it was with a dear friend. They were the rulers of Riverclan. They had picked her to help guide their warriors. Riverclan was her promise to die for and she'd die for the rulers too. She was a knight that guarded her people and protected her kings. Nothing she feared. Nothing she ran away from. She'd strike her claw for them. She'd even mourn for them.. cry for them.

A patrol report she had to tell. Petalnose supposed she didn't expect to be surprised when her eyes fell upon Smokethroat being flooded with his grief. Empathy wasn't something she easily felt but she felt it for him. Willowroot was already there as a shoulder to comfort, one she wasn't sure how he'd react to. She expected him to either lean against it or explode. So Petalnose gave space, deciding against speaking.. deciding against invading his space. She instead quietly turned to exit and sit outside his den as a way to protect his vulnerability. If someone had something to say she'd try her best to send them away or be of report. Surely, he didn't want to be seen like this. Stars knew Petalnose had loathed showing that piece of her to others. She had still not personally approached her grief in a healthy manner yet. She was glad Smokethroat had that opportunity now.

₊· ͟͟͞͞➳˚ It felt like a ghost lived within the willow den and Beepaw did not wish to seek it, if she ever passed it normally her eyes would be on her paws not wishing to remember that he isn't here anymore. Her cheery and safe kittenhood gone moons ago and torn away from her when the rogues stormed into their camp. She has mixed feelings, Beepaw hadn't been brave during the time they chased them out from their home or Skyclan and she didn't feel like she was brave during the fight to take back their home. The kingsblood had killed in cold blood alongside her brother yet she doesn't know if it's something to be proud about and now her bicolored gaze finally risks a glance over to the willow tree that had been her home for three moons and instead of finding a ghost, she sees Smokethroat crouched in front of the willow tree den and Willowroot having come to comfort him. Petalnose sitting by the entrance of the den and Beepaw feels her heart begin to ache.

With a hesitant step or two of her snowy paws, the molly makes her way forward with both of her ears pressing against her skull and it's not long until she finds herself in front of Smokethroat. Her mentor, her only living parent, and even if she doesn't know that Cicadastar had been lost to them before... Her papa would be staying or that's what she hoped for knowing that the rogues had torn every life out of her father's body. All her attention had been focused on Cicadastar when her papa had returned with his chilled, mottled corpse and she had been so blinded by the grief.

She was blind no more and attempted to press her forehead against Smokethroat's gently, she'd close her eyes letting out a soft breath. It was a silent I love you as she didn't wish to break the silence with shaky words that would tumble from her mouth, he was so much stronger than her in more ways than one.

  • beekit_chibi.png
    ❥ 4 moons old
    ❥ riverclan apprentice
    ❥ sexuality unknown; single
    ❥ daughter of cicadastar and smokethroat
    ❥ sister of cicadapaw & starlightpaw
    "speech", thoughts, attacking
    ❥ easy; still learning how to fight
    ❥ peaceful powerplay allowed
⋆ ✧    ·   ⋆ ✧    ·   ✧ ⋆     ·   ✧ ⋆

He didn't need the company of someone who had raised his spirits just to see them dashed so splendidly... She told herself this even as she watched his entire body stiffen outside of the willow's warm, coaxing embrace, even as she remembered wanting the touch of someone familiar if only to ease the loneliness by part. Her hesitation does nothing to teach her to act, to spare who she could consider a friend a miserable, isolated experience- she is not a good friend despite her wishes it might be different.

Words do not come easily and small physical affections are equally constrained- it is a relief to see Willowroot (the second time in the last week she had proved as a life line) approach, to see her slowly lean against Smokethroat in an understanding silence. He just... needed to let it out. Needed to not be made a spectacle more than his dead love already had been. Cicadastar had changed in the last several lives he'd lived but the memory of the Cicada that united them under the banner of RiverClan never went away for those who had been there. Those who were old enough to remember the chaos without him.

Frowning, her emotions do not mask today, a tail twitching the naggings of a guilty conscience. Maybe she shouldn't have encouraged his hopes... maybe she should've told Cicadapaw to take joy in the ways he was similar to his father, rather than bolster his yearning for individuality. If she'd know he'd be gone so soon... Beepaw slithers up to her father with wide eyes, just as directionless and lost with half the guidance she was promised at birth. Only one parent... Even she didn't know what that experience was like, even miles away from where-ever her parents were now the molly would never be made to suffer that same grief.

Petalnose stands as a sentinel to protect the grieving widow from further invaders, those that might say something stupid or be generally unwelcomed. She was the first to have sat down at Lichentail's side, brushing their tongues through blood-stained curls to clean their leader; to say their goodbyes. Sitting down beside the other lead warrior, the blue point gives a small, solemn nod. A mutual understanding.

Smokethroat was not weak to be here now... he had kept so strong for so long.

It was more than StarClan should ask of any one cat.

Of course he was bound to break eventually.​
Redpath had felt cold and empty ever since the news hit her that Riverwhisker died. Even in the battle to take back their home where she fought with grief and rage, she felt as cold as a frozen over river. Cursed, is what she is. Her first lover, slain by rogues. Her second, withered away from sickness. Is she fated to lose everyone she falls for? Is she not meant to have anyone at her side?

Company feels like poison right now. She lays with paws tucked under her in a far corner of camp, ignoring anyone that calls to her. Better not get attached to anyone, or they'll die too. Everything hurts. She just wants it all to stop.

Riverwhisker isn't the only one she grieves for. She grieves for all her clanmates lost to this sickness. She grieves for Cicadastar, who should still be here. He should be here with Smokethroat and their kits. She tore open a rogue and spilled his blood in revenge, but she isn't sated. No, she wants more. She wants each and every one dead. Plenty were slaughtered, but it wasn't ENOUGH.

- - -
A plane-wave DFT calculation with PBE-GGA was carried out for an optimized crystal structure of SmErBeHg.

It has space group F-43m (No. 216), with a = 7.253 Å, b = 7.253 Å, c = 7.253 Å, α = 90.00°, β = 90.00° and γ = 90.00°. The distinct sites, in fractional coordinates, are Sm at (0.000, 0.000, 0.000), Er at (0.000, 0.000, 0.500), Be at (0.250, 0.250, 0.250) and Hg at (0.250, 0.250, 0.750).

The calculation puts the density of states at the Fermi level at 18.5 states/eV per cell. The calculation puts the mass density at 9.2 g/cm³. As for the total DFT energy (no corrections): -3.427 eV per atom.


A plane-wave DFT calculation with PBE-GGA was carried out for an optimized crystal structure of TbErBeHg.

It has space group F-43m (No. 216), with a = 7.188 Å, b = 7.188 Å, c = 7.188 Å, α = 90.00°, β = 90.00° and γ = 90.00°. The distinct sites, in fractional coordinates, are Tb at (0.000, 0.000, 0.000), Er at (0.000, 0.000, 0.500), Be at (0.250, 0.250, 0.750) and Hg at (0.250, 0.250, 0.250).

The calculation puts the density of states at the Fermi level at 15.8 states/eV per cell. The calculation puts the mass density at 9.6 g/cm³. As for the total DFT energy (no corrections): -3.427 eV per atom.


A plane-wave DFT calculation with PBE-GGA was carried out for an optimized crystal structure of ErTmBeHg.

It has space group F-43m (No. 216), with a = 7.118 Å, b = 7.118 Å, c = 7.118 Å, α = 90.00°, β = 90.00° and γ = 90.00°. The distinct sites, in fractional coordinates, are Er at (0.000, 0.000, 0.000), Tm at (0.000, 0.000, 0.500), Be at (0.250, 0.250, 0.250) and Hg at (0.250, 0.250, 0.750).

The calculation puts the density of states at the Fermi level at 13.2 states/eV per cell. The calculation puts the mass density at 10.1 g/cm³. As for the total DFT energy (no corrections): -3.400 eV per atom.


A plane-wave DFT calculation with PBE-GGA was carried out for an optimized crystal structure of YErBeHg.

It has space group F-43m (No. 216), with a = 7.178 Å, b = 7.178 Å, c = 7.178 Å, α = 90.00°, β = 90.00° and γ = 90.00°. The distinct sites, in fractional coordinates, are Y at (0.000, 0.000, 0.000), Er at (0.000, 0.000, 0.500), Be at (0.250, 0.250, 0.750) and Hg at (0.250, 0.250, 0.250).

The calculation puts the density of states at the Fermi level at 14.4 states/eV per cell. The calculation puts the mass density at 8.4 g/cm³. As for the total DFT energy (no corrections): -3.903 eV per atom.


A plane-wave DFT calculation with PBE-GGA was carried out for an optimized crystal structure of Ho2ErBe.

It has space group R-3m (No. 166, hexagonal axes), with a = 3.3968 Å, b = 3.3968 Å, c = 33.9644 Å, α = 90.00°, β = 90.00° and γ = 120.00°. The distinct sites, in fractional coordinates, are Ho at (0.0000, 0.0000, 0.0846), Er at (0.0000, 0.0000, 0.5000) and Be at (0.0000, 0.0000, 0.0000).
- - -

But even though she spilled so much blood, she still feels hollow. Cicadastar is still dead.

She supposes there is a lesson here to be learned, but shes too tired to learn it.

An ear twitches as she hears the unfamiliar sound of sobs coming from Smokethroat. Hearing it breaks her heart, and she doesn't even know what to say. There was nothing TO say. But Smokethroat is her friend, and she wants to be there for him. She slowly gets to her feet and joins the growing crowd around the leaders den. Unfortunately, it seems Petalnose has taken up guard in front of them. She understands, she supposes. She doesn't have the energy or will to argue, so she sits off to the side. Not too far, but close enough to be part of the group. Quiet tears roll down her cheeks, from dull, empty eyes.

How would they recover from this? Nothing seems more hopeless than whatever lies in the future right now.​